- - -
Record 1
PBEsol Rh2C, optimized geometry; E_form = 500.7 meV/atom; SG = No. 63; ΔE to the lowest computed polymorph = 0.3900 eV/atom; DOS at the Fermi energy = 0.523 states/eV/atom
1.0
2.854 0.000 0.000
0.000 4.802 0.000
-1.427 0.000 5.185
C Rh
2 4
direct
0.921 0.750 0.843
0.079 0.250 0.157
0.704 0.250 0.409
0.556 0.750 0.112
0.444 0.250 0.888
0.296 0.750 0.591

---

Record 2
PBEsol ZrSc2Ru, optimized geometry; E_form = -275.4 meV/atom; SG = No. 123; ΔE to the lowest computed polymorph = 0.0531 eV/atom; DOS at the Fermi energy = 1.046 states/eV/atom
1.0
-1.896 0.279 -2.545
1.956 -1.885 -1.664
-3.940 -6.089 2.268
Sc Ru Zr
2 1 1
direct
0.000 0.000 0.299
0.000 0.000 0.701
0.500 0.500 0.500
0.500 0.500 0.000

---

Record 3
PBEsol Na2NiH8S2O12, optimized geometry; SG = No. 14
1.0
5.450 0.000 0.003
0.000 8.129 0.000
-1.878 0.000 10.785
O Na H S Ni
24 4 16 4 2
direct
0.680 0.377 0.424
0.826 0.712 0.426
0.121 0.032 0.837
0.366 0.726 0.273
0.320 0.877 0.076
0.781 0.417 0.921
0.366 0.774 0.773
0.121 0.468 0.337
0.320 0.623 0.576
0.879 0.968 0.163
0.879 0.532 0.663
0.649 0.679 0.129
0.680 0.123 0.924
0.219 0.917 0.579
0.351 0.179 0.371
0.174 0.212 0.074
0.781 0.083 0.421
0.634 0.226 0.227
0.174 0.288 0.574
0.219 0.583 0.079
0.351 0.321 0.871
0.649 0.821 0.629
0.634 0.274 0.727
0.826 0.788 0.926
0.883 0.425 0.137
0.883 0.075 0.637
0.117 0.575 0.863
0.117 0.925 0.363
0.672 0.692 0.364
0.767 0.061 0.180
0.760 0.771 0.494
0.328 0.308 0.636
0.760 0.729 0.994
0.778 0.636 0.655
0.233 0.939 0.820
0.778 0.864 0.155
0.240 0.229 0.506
0.222 0.364 0.345
0.672 0.808 0.864
0.233 0.561 0.320
0.240 0.271 0.006
0.222 0.136 0.845
0.767 0.439 0.680
0.328 0.192 0.136
0.619 0.285 0.863
0.381 0.715 0.137
0.619 0.215 0.363
0.381 0.785 0.637
0.000 0.000 0.000
0.000 0.500 0.500

---

Record 4
PBEsol OsPbCl, optimized geometry; SG = No. 42; ΔE to the lowest computed polymorph = 0.0000 eV/atom; DOS at the Fermi energy = 0.706 states/eV/atom
1.0
-2.064 -0.812 1.968
-0.099 -3.002 0.892
3.752 1.114 6.629
Cl Pb Os
1 1 1
direct
0.032 0.000 0.935
0.316 0.000 0.368
0.652 0.000 0.697

---

Record 5
PBEsol Ta2PtBr, optimized geometry; SG = No. 25; DOS at the Fermi energy = 0.675 states/eV/atom
1.0
2.911 0.000 0.114
0.000 4.878 0.000
-0.192 0.000 4.834
Ta Br Pt
2 1 1
direct
0.124 0.000 0.985
0.625 0.500 0.274
0.625 0.000 0.481
0.125 0.500 0.759

---

Record 6
PBEsol BeH3S, optimized geometry; SG = No. 221; DOS at the Fermi energy = 0.347 states/eV/atom
1.0
3.241 0.000 0.000
0.000 3.241 0.000
0.000 0.000 3.241
Be S H
1 1 3
direct
0.000 0.000 0.000
0.500 0.500 0.500
0.500 0.000 0.000
0.000 0.000 0.500
0.000 0.500 0.000

---

For the records above, the corresponding DFT total energy values read -48.84 -33.57 -280.19 -16.17 -33.42 -14.41 eV/cell.

* * * * *

The following is a DFT calculation (PBE) of crystalline ZrCoSeN2 at its relaxed geometry.

Lattice parameters (Å, degrees): 4.093 4.093 5.663 90.00 90.00 90.00
Fractional positions:
Zr1 0.000 0.000 0.000
Co1 0.500 0.500 0.500
Se1 0.000 0.000 0.500
N1 0.000 0.500 0.000
N2 0.500 0.000 0.000

Results
DOS at the Fermi energy	2.18	states/eV/atom
energy relative to the lowest polymorph listed for this composition	295	meV per atom
formation energy from raw total energies	3.75	eV/f.u.
final energy	-6.4077	eV/atom
- - -

Start at the top of the block further above and transcribe each line, ending with the one that has "0.163".

Record 1
PBEsol Rh2C, optimized geometry; E_form = 500.7 meV/atom; SG = No. 63; ΔE to the lowest computed polymorph = 0.3900 eV/atom; DOS at the Fermi energy = 0.523 states/eV/atom
1.0
2.854 0.000 0.000
0.000 4.802 0.000
-1.427 0.000 5.185
C Rh
2 4
direct
0.921 0.750 0.843
0.079 0.250 0.157
0.704 0.250 0.409
0.556 0.750 0.112
0.444 0.250 0.888
0.296 0.750 0.591

---

Record 2
PBEsol ZrSc2Ru, optimized geometry; E_form = -275.4 meV/atom; SG = No. 123; ΔE to the lowest computed polymorph = 0.0531 eV/atom; DOS at the Fermi energy = 1.046 states/eV/atom
1.0
-1.896 0.279 -2.545
1.956 -1.885 -1.664
-3.940 -6.089 2.268
Sc Ru Zr
2 1 1
direct
0.000 0.000 0.299
0.000 0.000 0.701
0.500 0.500 0.500
0.500 0.500 0.000

---

Record 3
PBEsol Na2NiH8S2O12, optimized geometry; SG = No. 14
1.0
5.450 0.000 0.003
0.000 8.129 0.000
-1.878 0.000 10.785
O Na H S Ni
24 4 16 4 2
direct
0.680 0.377 0.424
0.826 0.712 0.426
0.121 0.032 0.837
0.366 0.726 0.273
0.320 0.877 0.076
0.781 0.417 0.921
0.366 0.774 0.773
0.121 0.468 0.337
0.320 0.623 0.576
0.879 0.968 0.163